_File_
____________
The following is a PBE calculation of Lu12Mn5C15 after structural relaxation, from the Materials Project database.

abc: 10.2836 10.2836 4.9007
angles: 90.00 90.00 120.00
With the nearest neighbours (Å) after each atom.
Element x y z (fractional)
Lu: 0.0000 0.4313 0.0000  8 C 2.47-2.71
Lu: 0.0000 0.7933 0.0000  4 C 2.45
Lu: 0.1855 0.7308 0.5000  5 C 2.31-2.48
Lu: 0.2067 0.2067 0.0000  4 C 2.45
Lu: 0.2692 0.4546 0.5000  5 C 2.31-2.48
Lu: 0.4313 0.0000 0.0000  8 C 2.47-2.71
Lu: 0.4546 0.2692 0.5000  5 C 2.31-2.48
Lu: 0.5454 0.8145 0.5000  5 C 2.31-2.48
Lu: 0.5687 0.5687 0.0000  8 C 2.47-2.71
Lu: 0.7308 0.1855 0.5000  5 C 2.31-2.48
Lu: 0.7933 0.0000 0.0000  4 C 2.45
Lu: 0.8145 0.5454 0.5000  5 C 2.31-2.48
Mn: 0.0000 0.1531 0.5000  3 C 1.78-1.90
Mn: 0.1531 0.0000 0.5000  3 C 1.78-1.90
Mn: 0.3333 0.6667 0.0000  3 C 1.79
Mn: 0.6667 0.3333 0.0000  3 C 1.79
Mn: 0.8469 0.8469 0.5000  3 C 1.78-1.90
C: 0.0000 0.3267 0.5000  1 C 1.36
C: 0.0000 0.4585 0.5000  1 C 1.36
C: 0.0000 0.7945 0.5000  2 Mn 1.90
C: 0.1913 0.7183 0.0000  1 Mn 1.79
C: 0.2055 0.2055 0.5000  2 Mn 1.90
C: 0.2817 0.4730 0.0000  1 Mn 1.79
C: 0.3267 0.0000 0.5000  1 C 1.36
C: 0.4585 0.0000 0.5000  1 C 1.36
C: 0.4730 0.2817 0.0000  1 Mn 1.79
C: 0.5270 0.8087 0.0000  1 Mn 1.79
C: 0.5415 0.5415 0.5000  1 C 1.36
C: 0.6733 0.6733 0.5000  1 C 1.36
C: 0.7183 0.1913 0.0000  1 Mn 1.79
C: 0.7945 0.0000 0.5000  2 Mn 1.90
C: 0.8087 0.5270 0.0000  1 Mn 1.79

Values from the calculation:
Spin magnetization (Bohr magnetons per cell): 1.41
Crystal system: hexagonal


The following is a PBE calculation of Lu2Mn17C3 after structural relaxation, from the Materials Project database.

abc: 8.4609 8.4609 8.3030
angles: 90.00 90.00 120.00
With the nearest neighbours (Å) after each atom.
Element x y z (fractional)
Lu: 0.0000 0.0000 0.2500  3 C 2.40
Lu: 0.0000 0.0000 0.7500  3 C 2.40
Lu: 0.3333 0.6667 0.2500  3 C 2.48
Lu: 0.6667 0.3333 0.7500  3 C 2.48
Mn: 0.0000 0.5000 0.0000  10 Mn 2.42-2.60
Mn: 0.0000 0.5000 0.5000  10 Mn 2.42-2.60
Mn: 0.0589 0.3873 0.7500  1 C 1.89
Mn: 0.0589 0.6716 0.7500  1 C 1.89
Mn: 0.1708 0.3416 0.0246  1 C 1.87
Mn: 0.1708 0.3416 0.4754  1 C 1.87
Mn: 0.1708 0.8292 0.0246  1 C 1.87
Mn: 0.1708 0.8292 0.4754  1 C 1.87
Mn: 0.3284 0.3873 0.7500  1 C 1.89
Mn: 0.3284 0.9411 0.7500  1 C 1.89
Mn: 0.3333 0.6667 0.6076  13 Mn 2.36-2.62
Mn: 0.3333 0.6667 0.8924  13 Mn 2.36-2.62
Mn: 0.3416 0.1708 0.5246  1 C 1.87
Mn: 0.3416 0.1708 0.9754  1 C 1.87
Mn: 0.3873 0.0589 0.2500  1 C 1.89
Mn: 0.3873 0.3284 0.2500  1 C 1.89
Mn: 0.5000 0.0000 0.0000  10 Mn 2.42-2.60
Mn: 0.5000 0.0000 0.5000  10 Mn 2.42-2.60
Mn: 0.5000 0.5000 0.0000  10 Mn 2.42-2.60
Mn: 0.5000 0.5000 0.5000  10 Mn 2.42-2.60
Mn: 0.6127 0.6716 0.7500  1 C 1.89
Mn: 0.6127 0.9411 0.7500  1 C 1.89
Mn: 0.6584 0.8292 0.0246  1 C 1.87
Mn: 0.6584 0.8292 0.4754  1 C 1.87
Mn: 0.6667 0.3333 0.1076  13 Mn 2.36-2.62
Mn: 0.6667 0.3333 0.3924  13 Mn 2.36-2.62
Mn: 0.6716 0.0589 0.2500  1 C 1.89
Mn: 0.6716 0.6127 0.2500  1 C 1.89
Mn: 0.8292 0.1708 0.5246  1 C 1.87
Mn: 0.8292 0.1708 0.9754  1 C 1.87
Mn: 0.8292 0.6584 0.5246  1 C 1.87
Mn: 0.8292 0.6584 0.9754  1 C 1.87
Mn: 0.9411 0.3284 0.2500  1 C 1.89
Mn: 0.9411 0.6127 0.2500  1 C 1.89
C: 0.1639 0.3278 0.2500  4 Mn 1.87-1.89
C: 0.1639 0.8361 0.2500  4 Mn 1.87-1.89
C: 0.3278 0.1639 0.7500  4 Mn 1.87-1.89
C: 0.6722 0.8361 0.2500  4 Mn 1.87-1.89
C: 0.8361 0.1639 0.7500  4 Mn 1.87-1.89
C: 0.8361 0.6722 0.7500  4 Mn 1.87-1.89

Values from the calculation:
Spin magnetization (Bohr magnetons per cell): 0.54
Crystal system: hexagonal


The following is a PBE calculation of Lu2Mo2C3 after structural relaxation, from the Materials Project database.

abc: 11.2576 3.3423 5.5987
angles: 90.00 109.18 90.00
With the nearest neighbours (Å) after each atom.
Element x y z (fractional)
Lu: 0.1160 0.0000 0.3176  5 C 2.35-2.52
Lu: 0.3840 0.5000 0.6824  5 C 2.35-2.52
Lu: 0.6160 0.5000 0.3176  5 C 2.35-2.52
Lu: 0.8840 0.0000 0.6824  5 C 2.35-2.52
Mo: 0.1476 0.5000 0.8660  4 C 2.04-2.12
____________
_Assignment_
Now retype the whole of the calculation results above unchanged.
_Result_
The following is a PBE calculation of Lu12Mn5C15 after structural relaxation, from the Materials Project database.

abc: 10.2836 10.2836 4.9007
angles: 90.00 90.00 120.00
With the nearest neighbours (Å) after each atom.
Element x y z (fractional)
Lu: 0.0000 0.4313 0.0000  8 C 2.47-2.71
Lu: 0.0000 0.7933 0.0000  4 C 2.45
Lu: 0.1855 0.7308 0.5000  5 C 2.31-2.48
Lu: 0.2067 0.2067 0.0000  4 C 2.45
Lu: 0.2692 0.4546 0.5000  5 C 2.31-2.48
Lu: 0.4313 0.0000 0.0000  8 C 2.47-2.71
Lu: 0.4546 0.2692 0.5000  5 C 2.31-2.48
Lu: 0.5454 0.8145 0.5000  5 C 2.31-2.48
Lu: 0.5687 0.5687 0.0000  8 C 2.47-2.71
Lu: 0.7308 0.1855 0.5000  5 C 2.31-2.48
Lu: 0.7933 0.0000 0.0000  4 C 2.45
Lu: 0.8145 0.5454 0.5000  5 C 2.31-2.48
Mn: 0.0000 0.1531 0.5000  3 C 1.78-1.90
Mn: 0.1531 0.0000 0.5000  3 C 1.78-1.90
Mn: 0.3333 0.6667 0.0000  3 C 1.79
Mn: 0.6667 0.3333 0.0000  3 C 1.79
Mn: 0.8469 0.8469 0.5000  3 C 1.78-1.90
C: 0.0000 0.3267 0.5000  1 C 1.36
C: 0.0000 0.4585 0.5000  1 C 1.36
C: 0.0000 0.7945 0.5000  2 Mn 1.90
C: 0.1913 0.7183 0.0000  1 Mn 1.79
C: 0.2055 0.2055 0.5000  2 Mn 1.90
C: 0.2817 0.4730 0.0000  1 Mn 1.79
C: 0.3267 0.0000 0.5000  1 C 1.36
C: 0.4585 0.0000 0.5000  1 C 1.36
C: 0.4730 0.2817 0.0000  1 Mn 1.79
C: 0.5270 0.8087 0.0000  1 Mn 1.79
C: 0.5415 0.5415 0.5000  1 C 1.36
C: 0.6733 0.6733 0.5000  1 C 1.36
C: 0.7183 0.1913 0.0000  1 Mn 1.79
C: 0.7945 0.0000 0.5000  2 Mn 1.90
C: 0.8087 0.5270 0.0000  1 Mn 1.79

Values from the calculation:
Spin magnetization (Bohr magnetons per cell): 1.41
Crystal system: hexagonal


The following is a PBE calculation of Lu2Mn17C3 after structural relaxation, from the Materials Project database.

abc: 8.4609 8.4609 8.3030
angles: 90.00 90.00 120.00
With the nearest neighbours (Å) after each atom.
Element x y z (fractional)
Lu: 0.0000 0.0000 0.2500  3 C 2.40
Lu: 0.0000 0.0000 0.7500  3 C 2.40
Lu: 0.3333 0.6667 0.2500  3 C 2.48
Lu: 0.6667 0.3333 0.7500  3 C 2.48
Mn: 0.0000 0.5000 0.0000  10 Mn 2.42-2.60
Mn: 0.0000 0.5000 0.5000  10 Mn 2.42-2.60
Mn: 0.0589 0.3873 0.7500  1 C 1.89
Mn: 0.0589 0.6716 0.7500  1 C 1.89
Mn: 0.1708 0.3416 0.0246  1 C 1.87
Mn: 0.1708 0.3416 0.4754  1 C 1.87
Mn: 0.1708 0.8292 0.0246  1 C 1.87
Mn: 0.1708 0.8292 0.4754  1 C 1.87
Mn: 0.3284 0.3873 0.7500  1 C 1.89
Mn: 0.3284 0.9411 0.7500  1 C 1.89
Mn: 0.3333 0.6667 0.6076  13 Mn 2.36-2.62
Mn: 0.3333 0.6667 0.8924  13 Mn 2.36-2.62
Mn: 0.3416 0.1708 0.5246  1 C 1.87
Mn: 0.3416 0.1708 0.9754  1 C 1.87
Mn: 0.3873 0.0589 0.2500  1 C 1.89
Mn: 0.3873 0.3284 0.2500  1 C 1.89
Mn: 0.5000 0.0000 0.0000  10 Mn 2.42-2.60
Mn: 0.5000 0.0000 0.5000  10 Mn 2.42-2.60
Mn: 0.5000 0.5000 0.0000  10 Mn 2.42-2.60
Mn: 0.5000 0.5000 0.5000  10 Mn 2.42-2.60
Mn: 0.6127 0.6716 0.7500  1 C 1.89
Mn: 0.6127 0.9411 0.7500  1 C 1.89
Mn: 0.6584 0.8292 0.0246  1 C 1.87
Mn: 0.6584 0.8292 0.4754  1 C 1.87
Mn: 0.6667 0.3333 0.1076  13 Mn 2.36-2.62
Mn: 0.6667 0.3333 0.3924  13 Mn 2.36-2.62
Mn: 0.6716 0.0589 0.2500  1 C 1.89
Mn: 0.6716 0.6127 0.2500  1 C 1.89
Mn: 0.8292 0.1708 0.5246  1 C 1.87
Mn: 0.8292 0.1708 0.9754  1 C 1.87
Mn: 0.8292 0.6584 0.5246  1 C 1.87
Mn: 0.8292 0.6584 0.9754  1 C 1.87
Mn: 0.9411 0.3284 0.2500  1 C 1.89
Mn: 0.9411 0.6127 0.2500  1 C 1.89
C: 0.1639 0.3278 0.2500  4 Mn 1.87-1.89
C: 0.1639 0.8361 0.2500  4 Mn 1.87-1.89
C: 0.3278 0.1639 0.7500  4 Mn 1.87-1.89
C: 0.6722 0.8361 0.2500  4 Mn 1.87-1.89
C: 0.8361 0.1639 0.7500  4 Mn 1.87-1.89
C: 0.8361 0.6722 0.7500  4 Mn 1.87-1.89

Values from the calculation:
Spin magnetization (Bohr magnetons per cell): 0.54
Crystal system: hexagonal


The following is a PBE calculation of Lu2Mo2C3 after structural relaxation, from the Materials Project database.

abc: 11.2576 3.3423 5.5987
angles: 90.00 109.18 90.00
With the nearest neighbours (Å) after each atom.
Element x y z (fractional)
Lu: 0.1160 0.0000 0.3176  5 C 2.35-2.52
Lu: 0.3840 0.5000 0.6824  5 C 2.35-2.52
Lu: 0.6160 0.5000 0.3176  5 C 2.35-2.52
Lu: 0.8840 0.0000 0.6824  5 C 2.35-2.52
Mo: 0.1476 0.5000 0.8660  4 C 2.04-2.12